[Assignment]
Next, start at the top of the contents further down and copy each line, ending with the one that has "(3.1514, 0.5566,".

[File]
********
Record 1
DFT (the ωB97M-V functional and the def2-TZVPD basis) results for a cluster of 2 separate species, CH4N4S in total.

The energy above the lowest of the compared OMol25 structures with the same formula, charge and spin comes out at 250.6 kJ/mol. For the total energy, the calculation gives -657.580197 Ha. The value obtained for the HOMO energy (spin up / spin down) is -7.9 / -7.9 eV. Its HOMO-LUMO gap (spin up / spin down) is 8.584 / 8.578 eV. As for the total charge: 0. Its multiplicity is 1.

Positions of all 10 atoms, in Å:
S (-2.4042, 3.1361, 1.9414)
N (-1.5126, 2.0199, 2.4753)
N (0.7699, 1.0339, 0.8742)
N (0.5687, -0.1889, 0.4392)
N (-0.8746, 1.1474, 2.7626)
C (-0.2464, -0.5812, -0.5599)
H (-0.2029, -1.6297, -0.8693)
H (1.0600, -0.8300, 1.0982)
H (-0.6753, 0.1292, -1.2863)
H (0.2675, 1.7505, 0.3627)

=====

Record 2
DFT (the ωB97M-V functional and the def2-TZVPD basis) results for a structure of composition C3H6Br2NO.

The energy above the lowest of the compared OMol25 structures with the same formula, charge and spin comes out at 230.4 kJ/mol. For the total energy, the calculation gives -5395.547386 Ha. The value obtained for the HOMO energy is -13.3 eV. Its HOMO-LUMO gap is 8.862 eV. As for the total charge: +1. Its multiplicity is 1.

Positions of all 13 atoms, in Å:
Br (1.5724, 1.6108, 0.9783)
Br (0.3439, 2.1249, -1.9011)
O (-2.1607, 0.9602, -0.5443)
N (-0.6632, 0.4578, 2.0024)
C (-1.0364, 1.1707, -0.2519)
C (0.9286, 0.2530, -2.1436)
C (-0.0859, 0.8055, 0.6800)
H (0.0727, 0.1176, 2.6989)
H (-1.4179, -0.3788, 1.8904)
H (-0.9757, 1.1085, 2.7915)
H (1.9469, 0.3223, -2.5223)
H (0.2675, -0.4296, -2.6731)
H (0.9591, 0.0799, -1.0751)

=====

Record 3
DFT (the ωB97M-V functional and the def2-TZVPD basis) results for an isolated molecule of C22H36N2O2.

The energy above the lowest of the compared OMol25 structures with the same formula, charge and spin comes out at 119.4 kJ/mol. For the total energy, the calculation gives -1119.915874 Ha. The value obtained for the HOMO energy is -8.3 eV. Its HOMO-LUMO gap is 8.923 eV. As for the total charge: 0. Its multiplicity is 1.

Positions of all 62 atoms, in Å:
O (1.0305, -3.2540, 0.1305)
O (5.5272, 0.5606, 0.6809)
N (3.8785, 0.9626, -0.8137)
N (-2.6372, -1.3892, -0.4466)
C (4.6229, -3.6026, -0.0121)
C (4.0445, 2.3929, -0.8764)
C (-5.8363, 0.7091, -0.7876)
C (-4.5869, 0.3005, 0.0028)
C (5.0629, -2.2888, -0.0100)
C (2.8018, 3.1484, -0.3743)
C (1.4485, 3.6626, 1.7284)
C (3.2742, -3.8901, 0.0220)
C (2.3294, -2.8610, 0.0688)
C (4.5956, 0.1624, 0.0112)
C (2.5146, 2.7831, 1.0861)
C (-1.4928, -0.6648, -0.9378)
C (0.0013, -2.2829, 0.2296)
C (-5.0219, -0.0894, 1.4176)
C (-3.6397, 1.4984, 0.0762)
C (2.7721, -1.5440, 0.0550)
C (4.1339, -1.2597, 0.0077)
C (-1.2517, -2.9837, 0.7497)
C (-0.3293, -1.6416, -1.1204)
C (-3.9567, -0.9020, -0.7583)
C (1.5985, 2.8786, -1.2787)
C (-2.3988, -1.9750, 0.8482)
H (1.3461, 3.4164, 2.7827)
H (3.1514, 0.5566, -1.3791)
H (-3.2557, 1.7502, -0.9098)
H (1.2312, 1.8619, -1.1504)
H (-0.6193, -2.4300, -1.8157)
H (0.4807, 3.5220, 1.2532)
H (-4.1680, -0.2999, 2.0542)
H (4.2657, 2.6914, -1.9076)
H (-6.3611, 1.5150, -0.2793)
H (-6.5184, -0.1323, -0.8877)
H (0.2939, -1.5061, 0.9530)
H (0.7846, 3.5601, -1.0471)
H (2.2038, 1.7374, 1.1437)
H (6.1143, -2.0495, -0.0267)
H (-5.6613, -0.9693, 1.3946)
H (3.0389, 4.2166, -0.4253)
H (-1.1659, 0.1383, -0.2521)
H (-1.7456, -0.2101, -1.8975)
H (-5.5838, 0.7258, 1.8701)
H (-1.5189, -3.7806, 0.0562)
H (-4.1690, 2.3655, 0.4673)
H (3.4419, 2.8755, 1.6549)
H (-4.6399, -1.7513, -0.6425)
H (-3.3054, -2.4863, 1.1745)
H (1.8676, 3.0208, -2.3235)
H (4.9072, 2.6281, -0.2488)
H (5.3391, -4.4102, -0.0361)
H (2.0719, -0.7252, 0.1174)
H (-3.9385, -0.6438, -1.8218)
H (2.9180, -4.9081, 0.0270)
H (-1.0504, -3.4256, 1.7260)
H (0.5386, -1.1250, -1.5336)
H (-2.1308, -1.2186, 1.6095)
H (1.7220, 4.7125, 1.6484)
H (-5.5683, 1.0533, -1.7842)
H (-2.8016, 1.2944, 0.7374)

=====

Record 4
********

[Here it is]
Record 1
DFT (the ωB97M-V functional and the def2-TZVPD basis) results for a cluster of 2 separate species, CH4N4S in total.

The energy above the lowest of the compared OMol25 structures with the same formula, charge and spin comes out at 250.6 kJ/mol. For the total energy, the calculation gives -657.580197 Ha. The value obtained for the HOMO energy (spin up / spin down) is -7.9 / -7.9 eV. Its HOMO-LUMO gap (spin up / spin down) is 8.584 / 8.578 eV. As for the total charge: 0. Its multiplicity is 1.

Positions of all 10 atoms, in Å:
S (-2.4042, 3.1361, 1.9414)
N (-1.5126, 2.0199, 2.4753)
N (0.7699, 1.0339, 0.8742)
N (0.5687, -0.1889, 0.4392)
N (-0.8746, 1.1474, 2.7626)
C (-0.2464, -0.5812, -0.5599)
H (-0.2029, -1.6297, -0.8693)
H (1.0600, -0.8300, 1.0982)
H (-0.6753, 0.1292, -1.2863)
H (0.2675, 1.7505, 0.3627)

=====

Record 2
DFT (the ωB97M-V functional and the def2-TZVPD basis) results for a structure of composition C3H6Br2NO.

The energy above the lowest of the compared OMol25 structures with the same formula, charge and spin comes out at 230.4 kJ/mol. For the total energy, the calculation gives -5395.547386 Ha. The value obtained for the HOMO energy is -13.3 eV. Its HOMO-LUMO gap is 8.862 eV. As for the total charge: +1. Its multiplicity is 1.

Positions of all 13 atoms, in Å:
Br (1.5724, 1.6108, 0.9783)
Br (0.3439, 2.1249, -1.9011)
O (-2.1607, 0.9602, -0.5443)
N (-0.6632, 0.4578, 2.0024)
C (-1.0364, 1.1707, -0.2519)
C (0.9286, 0.2530, -2.1436)
C (-0.0859, 0.8055, 0.6800)
H (0.0727, 0.1176, 2.6989)
H (-1.4179, -0.3788, 1.8904)
H (-0.9757, 1.1085, 2.7915)
H (1.9469, 0.3223, -2.5223)
H (0.2675, -0.4296, -2.6731)
H (0.9591, 0.0799, -1.0751)

=====

Record 3
DFT (the ωB97M-V functional and the def2-TZVPD basis) results for an isolated molecule of C22H36N2O2.

The energy above the lowest of the compared OMol25 structures with the same formula, charge and spin comes out at 119.4 kJ/mol. For the total energy, the calculation gives -1119.915874 Ha. The value obtained for the HOMO energy is -8.3 eV. Its HOMO-LUMO gap is 8.923 eV. As for the total charge: 0. Its multiplicity is 1.

Positions of all 62 atoms, in Å:
O (1.0305, -3.2540, 0.1305)
O (5.5272, 0.5606, 0.6809)
N (3.8785, 0.9626, -0.8137)
N (-2.6372, -1.3892, -0.4466)
C (4.6229, -3.6026, -0.0121)
C (4.0445, 2.3929, -0.8764)
C (-5.8363, 0.7091, -0.7876)
C (-4.5869, 0.3005, 0.0028)
C (5.0629, -2.2888, -0.0100)
C (2.8018, 3.1484, -0.3743)
C (1.4485, 3.6626, 1.7284)
C (3.2742, -3.8901, 0.0220)
C (2.3294, -2.8610, 0.0688)
C (4.5956, 0.1624, 0.0112)
C (2.5146, 2.7831, 1.0861)
C (-1.4928, -0.6648, -0.9378)
C (0.0013, -2.2829, 0.2296)
C (-5.0219, -0.0894, 1.4176)
C (-3.6397, 1.4984, 0.0762)
C (2.7721, -1.5440, 0.0550)
C (4.1339, -1.2597, 0.0077)
C (-1.2517, -2.9837, 0.7497)
C (-0.3293, -1.6416, -1.1204)
C (-3.9567, -0.9020, -0.7583)
C (1.5985, 2.8786, -1.2787)
C (-2.3988, -1.9750, 0.8482)
H (1.3461, 3.4164, 2.7827)
H (3.1514, 0.5566, -1.3791)